As a massage therapist specialized in women’s health I like to inspire you to gain more wisdom about your wellbeing. I do not claim to know everything, but I am your guide along the way. I am there to make sure you feel strong, competent, resilient and healthy. I am here to help you find balance in your life by cherishing your belly!
Computed PXRD pattern
Compound: Li3NiO2F
Radiation: Cu Kα, 1.54184 Å
Structure: a cell relaxed with GGA+U

Top 10 peaks for 2θ from 10° to 80°, most intense first:
- 26.5 deg, I = 100.0, (0 1 1)
- 13.9 deg, I = 77.6, (1 1 0)
- 26.9 deg, I = 74.7, (1 0 1)
- 28.5 deg, I = 56.4, (1 1 1)
- 37.7 deg, I = 45.6, (0 4 0)
- 42.1 deg, I = 42.9, (4 0 0)
- 39.2 deg, I = 40.3, (1 3 1)
- 21.3 deg, I = 33.0, (1 2 0)
- 54.4 deg, I = 31.1, (0 5 1)
- 50.5 deg, I = 26.9, (4 1 1)

Crystal structure
Cell: 8.584 9.541 3.592 Å, 90.00 90.00 90.00°
Sites, in units of the cell vectors:
1 Li 0.096 0.168 0.000
2 Li 0.118 0.917 0.500
3 Li 0.158 0.325 0.500
4 Li 0.342 0.825 0.000
5 Li 0.382 0.417 0.000
6 Li 0.404 0.668 0.500
7 Li 0.596 0.332 0.500
8 Li 0.618 0.583 0.000
9 Li 0.658 0.175 0.000
10 Li 0.842 0.675 0.500
11 Li 0.882 0.083 0.500
12 Li 0.904 0.832 0.000
13 Ni 0.127 0.595 0.000
14 Ni 0.373 0.095 0.500
15 Ni 0.627 0.905 0.500
16 Ni 0.873 0.405 0.000
17 O 0.101 0.387 0.000
18 O 0.149 0.116 0.500
19 O 0.351 0.616 0.000
20 O 0.399 0.887 0.500
21 O 0.601 0.113 0.500
22 O 0.649 0.384 0.000
23 O 0.851 0.884 0.500
24 O 0.899 0.613 0.000
25 F 0.123 0.833 0.000
26 F 0.377 0.333 0.500
27 F 0.623 0.667 0.500
28 F 0.877 0.167 0.000


# 1
For Pr2CuGe2O8, DFT lattice parameters and positions (GGA-PBE) gives the simulated powder diffractogram in this record (a wavelength of 1.5418 Å).
Neutral-atom scattering factors, no anomalous dispersion.

Peak list (10 most intense, 15 to 90 degrees two-theta, by angle)
two_theta	I (rel.)
24.18	36
26.86	100
27.76	92
30.96	89
31.51	25
33.58	90
34.20	41
41.69	37
46.23	46
47.36	41

Structural model:
```
data_Pr2CuGe2O8
_cell_length_a 9.2182
_cell_length_b 9.2182
_cell_length_c 5.2463
_cell_angle_alpha 105.56
_cell_angle_beta 105.56
_cell_angle_gamma 114.47
_symmetry_space_group_name_H-M 'P 1'
_symmetry_Int_Tables_number 1
loop_
_symmetry_equiv_pos_as_xyz
'x,y,z'
loop_
_atom_site_label
_atom_site_fract_x
_atom_site_fract_y
_atom_site_fract_z
Pr1 0.1214 0.8786 0.0000
Pr2 0.3766 0.6199 0.4642
Pr3 0.6199 0.3766 0.4642
Pr4 0.8786 0.1214 0.0000
Cu1 0.4991 0.9118 0.1631
Cu2 0.9118 0.4991 0.1631
Ge1 0.0457 0.4675 0.7169
Ge2 0.2403 0.2403 0.7738
Ge3 0.4675 0.0457 0.7169
Ge4 0.7276 0.7276 0.1529
O1 0.0705 0.4190 0.0355
O2 0.0738 0.0738 0.8146
O3 0.1461 0.3300 0.5582
O4 0.2041 0.6674 0.7328
O5 0.3300 0.1461 0.5582
O6 0.3370 0.8555 0.3612
O7 0.4014 0.4014 0.1314
O8 0.4190 0.0705 0.0355
O9 0.5754 0.5754 0.7800
O10 0.5767 0.9230 0.8630
O11 0.6233 0.8097 0.3442
O12 0.6674 0.2041 0.7328
O13 0.8097 0.6233 0.3442
O14 0.8555 0.3370 0.3612
O15 0.9024 0.9024 0.1370
O16 0.9230 0.5767 0.8630
```

***

# 2
For CuGeRhO6, DFT lattice parameters and positions (GGA-PBE) gives the simulated powder diffractogram in this record (a wavelength of 1.5418 Å).
Neutral-atom scattering factors, no anomalous dispersion.

Peak list (10 most intense, 15 to 90 degrees two-theta, by angle)
two_theta	I (rel.)
20.72	21
29.25	100
35.77	46
41.69	27
46.86	26
56.44	50
60.32	24
64.27	21
69.19	8
End of the data records:
Your belly deserves attention
Abdominal health and vital organs are essential for a balanced life. In many massage studios your belly will not be included in your full body massage. To me that is such a shame. Your abdomen deserves to have full attention and your womb even more. Over the years we collect many imbalances in our abdomen. We neglect our bellies or even dislike them. My favorite part of the body is the abdomen and particularly the womb space. With daily massage and love for your gorgeous tummy your trust in yourself will grow. Tension will diminish, digestion will improve and your cycle will become more balanced.
Let’s talk about the liver
Let’s pick out one organ that is essential for our wellbeing. The liver for instance. The liver is our biggest organ and it has a lot to endure. Both food, thoughts and stress cause the liver to go out of balance. Anxiety, anger, depression and lethargy often find their cause in a toxic or stressed out liver. By taking better care of our liver we can change the imbalance. Firstly, you can start by adjusting your eating habits by eating clean food and making sure your meals aren’t too large. Also, try to incorporate movement on a daily basis. Start moving your body by adding walks to your day or do yoga twists to squeeze your liver. In addition to that, make sure you alternate activity with relaxation to keep your stress levels low.
Center of your being
┌──
No. 1
This entry pairs a crystal structure of CeErCu10 with its theoretical powder diffractogram. Radiation: Cu Ka. Structure: a structure optimized by DFT (PBE).

Peak list (6 most intense, 2θ = 10–80°, in order of falling intensity)
42.1 deg, I = 100.0, hkl 1 1 3; 29.8 deg, I = 68.5, hkl 1 1 1; 41.9 deg, I = 50.7, hkl 1 2 0; 44.0 deg, I = 41.8, hkl 2 0 0; 41.2 deg, I = 34.6, hkl 0 2 2; 35.6 deg, I = 30.1, hkl 0 1 3

Atomic structure:
```
12
Lattice="4.112 0.000 0.000 0.000 5.067 0.000 0.000 0.000 8.711" Properties=species:S:1:pos:R:3 pbc="T T T"
Ce 0.000 0.000 0.000
Er 0.000 2.534 4.355
Cu 0.000 0.000 2.933
Cu 0.000 0.000 5.778
Cu 0.000 2.534 1.482
Cu 0.000 2.534 7.229
Cu 2.056 0.000 4.355
Cu 2.056 1.279 2.209
Cu 2.056 1.279 6.502
Cu 2.056 2.534 0.000
Cu 2.056 3.788 2.209
Cu 2.056 3.788 6.502
```

***

No. 2
This entry pairs a crystal structure of GeB2MoPb with its theoretical powder diffractogram. Radiation: Cu Ka. Structure: a structure optimized by DFT (PBE).

Peak list (6 most intense, 2θ = 10–80°, in order of falling intensity)
29.3 deg, I = 100.0, hkl 1 1 0; 20.6 deg, I = 92.5, hkl 1 0 0; 43.9 deg, I = 68.1, hkl 1 1 2; 26.1 deg, I = 66.7, hkl 1 0 1; 31.9 deg, I = 48.2, hkl 0 0 2; 42.0 deg, I = 45.2, hkl 2 0 0

Atomic structure:
```
5
Lattice="4.304 0.000 0.000 0.000 4.304 0.000 0.000 0.000 5.604" Properties=species:S:1:pos:R:3 pbc="T T T"
Ge 0.000 0.000 0.000
B 0.000 2.152 2.802
B 2.152 0.000 2.802
Mo 2.152 2.152 0.000
Pb 2.152 2.152 2.802
```
└──
• End of the data records:
Abdominal care with specific massage for the internal organs is a treat and necessity. Women report they never felt as relaxed as during an abdominal massage. It is both intimate and deeply nourishing. The sensitive belly may have never been touched in this manner before. And once you have overcome your hesitation to reveal the center of your body and being, you will be struck by the power that is released!
_Calculated crystals from another source follow_
Record 1
# SiBAuI
Computed powder diffraction line list, a wavelength of 1.5418 Å. Input: a structure optimized by DFT (PBE).
Peak positions follow from Bragg's law for the DFT cell and can differ from measured ones.

Top 10 peaks for 2θ from 5° to 70°, in order of falling intensity:
| 2θ (°) | I_rel |
| --- | --- |
| 26.1 | 1000 |
| 25.8 | 700 |
| 30.3 | 526 |
| 32.3 | 438 |
| 32.4 | 356 |
| 41.2 | 355 |
| 31.1 | 344 |
| 53.6 | 285 |
| 15.0 | 276 |
| 43.2 | 168 |

Cell and atoms:
```
SiBAuI
1.0
3.766 0.000 0.000
-0.011 4.187 0.000
-1.217 -0.019 5.900
Si B Au I
1 1 1 1
Cartesian
0.000 0.000 0.000
1.919 0.003 0.776
1.320 2.084 0.484
2.429 3.813 3.255
```

***

Record 2
# BPIrAu
Computed powder diffraction line list, a wavelength of 1.5418 Å. Input: a structure optimized by DFT (PBE).
Peak positions follow from Bragg's law for the DFT cell and can differ from measured ones.

Top 10 peaks for 2θ from 5° to 70°, in order of falling intensity:
| 2θ (°) | I_rel |
| --- | --- |
| 32.9 | 1000 |
| 30.4 | 929 |
| 45.4 | 904 |
| 12.9 | 809 |
| 50.5 | 476 |
| 39.3 | 464 |
| 25.9 | 332 |
| 40.1 | 297 |
| 51.1 | 286 |
| 40.2 | 279 |

Cell and atoms:
```
BPIrAu
1.0
2.968 0.000 0.000
0.000 2.938 0.000
-0.023 0.000 6.881
B P Ir Au
1 1 1 1
Cartesian
0.000 0.000 0.000
2.963 1.469 1.298
1.461 1.469 6.089
2.936 1.469 3.700
```

***

Record 3
# BPIrAu
Computed powder diffraction line list, a wavelength of 1.5418 Å. Input: a structure optimized by DFT (PBE).
Peak positions follow from Bragg's law for the DFT cell and can differ from measured ones.

Top 10 peaks for 2θ from 5° to 70°, in order of falling intensity:
| 2θ (°) | I_rel |
| --- | --- |
| 26.1 | 1000 |
| 34.3 | 976 |
| 38.4 | 572 |
| 29.9 | 454 |
| 48.3 | 410 |
| 31.7 | 300 |
| 14.8 | 272 |
| 41.6 | 253 |
| 57.6 | 240 |
| 50.9 | 233 |

Cell and atoms:
```
BPIrAu
1.0
7.342 0.000 0.000
0.000 2.953 0.000
-2.369 0.000 5.973
B P Ir Au
2 2 2 2
Cartesian
0.000 0.000 0.000
3.671 1.476 0.000
0.667 0.000 4.480
4.338 1.476 4.480
-0.779 1.476 5.704
2.892 0.000 5.704
0.692 0.000 2.103
4.363 1.476 2.103
```

***

Please write out number 3 again, unchanged.
# BPIrAu
Computed powder diffraction line list, a wavelength of 1.5418 Å. Input: a structure optimized by DFT (PBE).
Peak positions follow from Bragg's law for the DFT cell and can differ from measured ones.

Top 10 peaks for 2θ from 5° to 70°, in order of falling intensity:
| 2θ (°) | I_rel |
| --- | --- |
| 26.1 | 1000 |
| 34.3 | 976 |
| 38.4 | 572 |
| 29.9 | 454 |
| 48.3 | 410 |
| 31.7 | 300 |
| 14.8 | 272 |
| 41.6 | 253 |
| 57.6 | 240 |
| 50.9 | 233 |

Cell and atoms:
```
BPIrAu
1.0
7.342 0.000 0.000
0.000 2.953 0.000
-2.369 0.000 5.973
B P Ir Au
2 2 2 2
Cartesian
0.000 0.000 0.000
3.671 1.476 0.000
0.667 0.000 4.480
4.338 1.476 4.480
-0.779 1.476 5.704
2.892 0.000 5.704
0.692 0.000 2.103
4.363 1.476 2.103
```

* * * * *
Abdominal massage is an invitation to your body to heal on a very deep level. Emotions that may have been stuck for years are requested to come to the surface. You are nourished in a safe space where you are always in charge of how much is released. It is my responsibility that you never cross your boundaries and I will respect you and you belly to the max! Nevertheless, it is with small steps in trust you will gain the most confidence. So I invite you to stay with a certain emotion for a while before you are ready for a deeper layer of healing. This can either happen in the same session or it takes more time over several sessions. Always remember, you are in charge!
Fotografie: Emma Brasser